“You’ve been through it,” I say as I sit in the chair closest to the couch.

“You have too, apparently.”

I wave my hand toward him. “We’re not talking about me. You first.”

“God, it was just awful. She showed up at the house and then Harley and Amy came home within ten minutes and–”

As he babbles, I imagine the horror in Harley’s eyes when she saw her mother again for the first time. I hate that I wish I could reach out and speak to her. Hold her in my arms. Comfort her.

Good lord…letting her go is going to be hell.

“It’s so fucked up, Grant,” Kent mutters, his knee bouncing. “I’m so fucked up.”

“No, you’re not.”

“Iam,” he says firmly. “I’m–I’m so screwed up. Because…because…” He looks up at me, eyes glossy. “Grant, when I saw her at the door, I felt like I used to.”

Oh no.

“It has never gone away. Ten fucking years and I still–” He closes his eyes. “Love her.”

The way his voice comes out, strangled and pained. It breaks my heart. “It’s only natural, Kent.”

“No, it’s not. She betrayed me. She left me and our children and–”

“Exactly. Your children, Kent. She’s the mother of your girls. Of course, you still love her.”

Kent shakes his head. “I’ve imagined this day. I’ve…” He chuckles sadly. “I’ve dreamed about it. Her coming back to me. But this isn’t what that is, is it?”

With Malcolm back in the picture, no, definitely not.

“She has a wedding ring now. They’re fucking married,” he says and kicks the coffee table.

“Easy, Kent. Easy.” I can’t imagine how complicated this must feel for him. The dissonance inside. To be so heartbroken by Aileen and yet to still want her.

He crumples back into the couch and looks up at the ceiling. “Why doesn’t it ever get easier? This is supposed to get easier.”

“Yeah…yeah, it is.”

If Kent wants easier, I’m not going to make it harder. “We’re in this together, Kent.” Harley flashes through my mind. Short, blustering blonde hair, fiery brown eyes, big, gaping smile. I wipe her from the slate of my mind like I’ve done every moment of every day for the past seven weeks. But now, it’s different, because I can’t do this to my best friend. I rather hurt than cause him the pain of my betrayal. So, I have to let her go.No more, Grant. No. More.“We’re going to get through this. And…we’re going to win.”

From the look in his eyes, I don’t think he believes me.

And I’m not sure I believe myself either.



-- The article is interrupted by materials data --
........
# CaYAs2Br PBE optimized geometry
# energy relative to the lowest polymorph listed for this composition = 0.0 kJ/mol of atoms
# formation energy (no corrections) = -0.67 eV per atom
data_CaYAs2Br
_chemical_formula_sum 'Ca1 Y1 As2 Br1'
_cell_length_a 5.402
_cell_length_b 5.402
_cell_length_c 5.552
_cell_angle_alpha 90.00
_cell_angle_beta 90.00
_cell_angle_gamma 90.00
_space_group_name_H-M_alt 'P 4/m m m'
_space_group_IT_number 123
_space_group_name_Hall '-P 4 2'
loop_
_atom_site_label
_atom_site_fract_x
_atom_site_fract_y
_atom_site_fract_z
Ca1 0.000 0.000 0.000
Y1 0.500 0.500 0.500
As1 0.000 0.500 0.500
Br1 0.500 0.500 0.000

----------

Below is an optimized crystal structure of Ba2WClO4, with properties calculated at the GGA+U level.

Structure (CIF):
```
data_Ba2WClO4
_chemical_formula_sum 'Ba4 W2 Cl2 O8'
_cell_length_a 10.1895
_cell_length_b 3.4805
_cell_length_c 10.2440
_cell_angle_alpha 90.00
_cell_angle_beta 112.79
_cell_angle_gamma 90.00
_space_group_name_H-M_alt 'C 1 2/m 1'
_space_group_IT_number 12
_space_group_name_Hall '-C 2y'
loop_
_atom_site_label
_atom_site_type_symbol
_atom_site_fract_x
_atom_site_fract_y
_atom_site_fract_z
Ba1 Ba 0.1670 0.0000 0.2678
W1 W 0.0000 0.0000 0.5000
Cl1 Cl 0.0000 0.5000 0.0000
O1 O 0.1043 0.5000 0.4586
O2 O 0.1314 0.0000 0.6918
```

Values from the calculation:
* total energy: -103.30 eV/cell
* total moment: 1.99 μB per cell

----------

Entry 1:
VASP calculation (PBE-GGA) on a geometry-optimized Th6TlTe3Ru2 structure.

As for the space group: C2/m (12). The size of the total moment is 0.0 μB per cell. The crystal system is monoclinic. The calculation puts the raw formation energy at -0.7609 eV per atom.

a b c (Å): 9.9804 9.9804 9.1843
angles (deg): 106.72 106.72 24.76
Fractional coordinates of all 12 atoms:
Th (0.0229, 0.0229, 0.2615)
Th (0.3203, 0.3203, 0.4359)
Th (0.3299, 0.3299, 0.8687)
Th (0.6701, 0.6701, 0.1313)
Th (0.6797, 0.6797, 0.5641)
Th (0.9771, 0.9771, 0.7385)
Tl (0.5000, 0.5000, 0.0000)
Te (0.1576, 0.1576, 0.8400)
Te (0.5000, 0.5000, 0.5000)
Te (0.8424, 0.8424, 0.1600)
Ru (0.1713, 0.1713, 0.3433)
Ru (0.8287, 0.8287, 0.6567)

***

Entry 2:
........

Iwake up after another sleepless night in my childhood bedroom. Dad has been very keen on keeping all of our rooms just the way that they were when we moved out, which is why there’s still a big Australian map on one of my walls with a bunch of thumbtacks pressed into cities and natural landmarks I wanted to go to. I’ve been meaning to take it down. Australia is a sore spot for me now.

Since I walked in to find my mom on the couch, I haven’t had the heart to leave Dad. Lucky for me, Dre is killing it with the show, and I have plenty of vacation days I can throw at this problem. Gina might be pissy with me, but my family is in crisis and I have nothing to lose when I’m now the station’s most popular property.

Amy still lives at home and can keep an eye on Dad, but I feel the need to be close to him right now too. It’s more of a selfish reason, really. I want to be supportive. But I also just want to be close to him. I’m feeling so vulnerable and small when everything inside me is growing so large. Thoughts about the future, my baby’s future, and how my life is going to shift when I become a mom are all so overwhelming.

I just need my daddy sometimes.

There’s a quiet knock at my door and I bury my head under the pillow. “Still asleep,” I groan, thinking it’s Amy trying to get me to go on another one of her morning walks.